As far as possible, distress to any participant should be prevented. However, the sensitive nature of the subject matter, involving depression, may lead to participants thinking about issues that may cause them distress. This policy outlines the strategies that are in place in case of participant or researcher distress. 

A father standing in his daughters room holding his baby.

As far as possible, distress to any participant should be prevented. However, the sensitive nature of the subject matter, involving depression, may lead to participants thinking about issues that may cause them distress. This policy outlines the strategies that are in place in case of participant or researcher distress. 

Participant Distress 

Vulnerable Adults 

Edge Hill University (2019) inform that vulnerable adults are not just those who lack capacity but people who are more susceptible to potential distress or harm arising from their participation in a particular research procedure. This may include; frail older people, people with dementia, those with mind or brain impairments or learning disabilities as well as those with mental health problems, the homeless, travelling communities, asylum seekers, drug users, family carers and the bereaved or victims of abuse (The Care Act, 2014). As the research will be recruiting people with mental health problems (depression) the researcher has developed this policy to reduce the risk of potential distress or harm. 

Research Design 

The research is designed to encourage participants to recall sensitive information which may be distressing; however, the researcher is a registered mental health nurse and health visitor and is experienced in working with people suffering emotional distress. 

A participant may become distressed when recalling information related to their perinatal depression. In which the lead researcher (EH) will understand that it is important to: 

  • listen, and allow the participant time and space to express their feelings
  • respond with empathy
  • help the individual feel more comfortable and safe
  • ask the person how they think the issue could be supported best
  • refer the individual to an appropriate helpful service. 

Sign posting 

EH has provided a list of helpful services (the participant information page will inform the participant that this information is available should they need it). This information can be re-presented at any point in the research process should a participant become distressed.  

Crisis management 

The mental health charity Mind (2020) report that a mental health crisis is when a person feels at breaking point and needs urgent help. This may include:

  • feeling extremely anxious and having panic attacks or flashbacks 
  • feeling suicidal or self-harming 
  • having an episode of mania or psychosis.

The contact details of a trusted person will be collected prior to interview in case of emergency. If at any point it appears that a participant is in crisis in relation to their mental health, the researcher will ask the participant if they may contact a next of kin or a trusted person. It may be necessary to contact the emergency services if a person is threatening to take their own life or if they report that they are injured.  

Researcher and distress 

The researcher may need support related to this research. In addition to the supervisory team, wider support services are available. 

  • The Supervisory team have experience of supporting those in distressed situations, one is a midwife (LB), and (SS) and (AK) are experienced in leading research and supporting post-graduate research students, therefore support for the lead researcher can be provided  
  • The University counselling/staff support service
  • Any other counselling service available through your volunteer work.   
  • GP.

Data Management Plan

What data will you collect or create?  

  • Participant contact details 
  • Online digital consent forms will be downloaded from the website  
  • Demographic information will be collected at the time of consent via an online form. This will include details of a next of kin/emergency contact. (Please see Appendix 7 for information regarding the collection of demographic information). 
  • Data from interviews will consist of digital recordings from telephone or WhatsApp video call interviews, downloaded WhatsApp text messaging transcripts and field notes. WhatsApp video call interviews will be audio recorded using a digital recorder placed next to the computer speaker, video content will not be recorded or used for analysis.  
  • Interview audio recordings will be transcribed 

How will the data be collected or created?  

Digital audio recordings will be made during telephone/video call interviews. Transcripts of WhatsApp instant messaging interviews will be downloaded. This data will be transcribed (telephone and video interviews, WhatsApp instant messaging is already in text form) and stored in Edge Hill University OneDrive through the lead researcher’s password protected login. The data will be structured into files and in identifiable folders that can be easily accessed.  Written field notes will be transcribed or scanned and stored on OneDrive before being destroyed. Audio recordings will be deleted once interviews have been transcribed. 

What documentation and metadata will accompany the data?  

Demographic information (including emergency contact details) will be collected and kept separately from the transcripts.  

How will you manage any ethical issues?  

All data will only be reviewed by the lead researcher and the supervisory team in order to keep confidentiality a primary emphasis. Personal data will be destroyed when the study ends, and anonymised data will be stored for 10 years as per the University of Edge Hill’s ethics procedures.  

Ethical review will be undertaken during monthly supervision sessions. 

How will you manage copyright and Intellectual Property Rights (IPR) issues?  

The intellectual property rights will remain the property of Edge Hill University.  

How will the data be stored and backed up during the research?  

The data will be stored in OneDrive via Edge Hill University upon the advice of Edge Hill University research office. OneDrive is double encrypted, and password protected. The password will be changed at regular intervals throughout the study.  The director of studies will act as a data guardian for all data following the lead researcher leaving the university at the end of her contract, therefore, OneDrive will be shared with the data guardian who is the Director of Studies (DOS). 

Paper documentation such as field notes will be transcribed or scanned into OneDrive before being destroyed.  

How will you manage access and security?  

Throughout the data collection process all data will be kept in secure databases. Electronic data will always be password protected and will be backed up with password protected secure hard drives. The electronically stored anonymised data will be kept for ten years in accordance with the Edge Hill policy on data.  

Which data are of long-term value and should be retained, shared, and/or preserved?  

The data will be kept for a minimum of 10 years and will be preserved and shared via electronic means. Once the primary researcher (EH) leaves the University, data will remain within the university and past to the director of studies (LB) to retain the data for the remainder of the years.    

What is the long-term preservation plan for the dataset?  

Data will be kept for a minimum of 10 years in line with University’s Research Data Management Policy. It will be kept electronically. All data will be accompanied by metadata to assist interpretation if data is ever questioned or requested at a later stage.  

How will you share the data?  

Data will be shared with the supervisory team through OneDrive. Data will not be shared through unsecure email or phone. The data collection procedure will inform participants that anonymised data may be used at a later date for a follow up study or as part of other studies.    

Are any restrictions on data sharing required?  

Someone pasted data records at this point.
'''
1.
Density functional theory data (PBE) for crystalline YBrN3 at its relaxed geometry.

The structure in extended XYZ format:
```
5
Lattice="4.4783 0.0000 0.0000 0.0000 4.4783 0.0000 0.0000 0.0000 4.4783" Properties=species:S:1:pos:R:3 pbc="T T T"
Y 0.0000 0.0000 0.0000
Br 2.2391 2.2391 2.2391
N 0.0000 0.0000 2.2391
N 0.0000 2.2391 0.0000
N 2.2391 0.0000 0.0000
```

Space group: Pm-3m, No. 221
Formation energy without anion corrections (meV/atom): 1835

***

2.
Density functional theory data (PBE) for crystalline Ce2NpAs2N2 at its relaxed geometry.

The structure in extended XYZ format:
```
7
Lattice="5.9173 -1.9800 0.0000 5.9173 1.9800 0.0000 -3.5672 0.0000 6.0273" Properties=species:S:1:pos:R:3 pbc="T T T"
Ce 1.4126 0.0000 1.4031
Ce 6.8547 0.0000 4.6241
Np -1.7836 0.0000 3.0136
As 4.5866 0.0000 0.9938
As 3.6807 0.0000 5.0335
N 0.1719 0.0000 3.5110
N 8.0954 0.0000 2.5162
```

Space group: C2/m, No. 12
Formation energy without anion corrections (meV/atom): -1298

***

3.
Density functional theory data (PBE) for crystalline CsLa2C2N6 at its relaxed geometry.

The structure in extended XYZ format:
```
11
Lattice="5.3283 -3.2279 0.0000 5.3283 3.2279 0.0000 -2.3687 0.0000 5.9706" Properties=species:S:1:pos:R:3 pbc="T T T"
Cs 0.0000 0.0000 0.0000
La 1.8539 0.0000 4.2124
La 6.4340 0.0000 1.7582
C 3.0022 0.0000 1.4968
C 5.2856 0.0000 4.4738
N 2.3673 1.1273 1.8667
N 4.1701 0.0000 0.8376
N 2.3673 -1.1273 1.8667
N 5.9205 1.1273 4.1039
N 4.1178 0.0000 5.1330
N 5.9205 -1.1273 4.1039
```

Space group: C2/m, No. 12
Formation energy without anion corrections (meV/atom): -371

***

4.
Density functional theory data (PBE) for crystalline Y2PtBr at its relaxed geometry.

The structure in extended XYZ format:
```
4
Lattice="4.4736 0.0000 0.0000 0.0000 1.8623 5.7616 0.0000 -1.8623 5.7616" Properties=species:S:1:pos:R:3 pbc="T T T"
Y 0.0000 0.0000 0.0000
Y 2.2368 0.0000 2.9231
Pt 0.0000 0.0000 8.5364
Br 2.2368 0.0000 5.8436
```

Space group: Amm2, No. 38
Energy relative to the lowest polymorph listed for this composition (meV per atom): 286
Formation energy without anion corrections (meV/atom): -959

***

5.
Density functional theory data (PBE) for crystalline K2MnTl at its relaxed geometry.

The structure in extended XYZ format:
```
8
Lattice="-2.3868 2.3868 12.6231 2.3868 -2.3868 12.6231 2.3868 2.3868 -12.6231" Properties=species:S:1:pos:R:3 pbc="T T T"
K 3.5802 1.1914 -3.1558
K 1.1914 1.1934 3.1558
K -1.1934 1.1953 9.4673
K 1.1953 1.1934 15.7789
Mn 0.0000 0.0000 0.0000
Mn 0.0000 2.3868 6.3115
Tl 2.3868 0.0000 6.3115
Tl 0.0000 0.0000 12.6231
```

Space group: I-42d, No. 122
Energy relative to the lowest polymorph listed for this composition (meV per atom): 323
Formation energy (eV per atom): 0.664

***

6.
Density functional theory data (PBE) for crystalline BaTaI2O at its relaxed geometry.

The structure in extended XYZ format:
```
5
Lattice="6.6397 0.0000 0.0000 0.0000 6.6397 0.0000 0.0000 0.0000 4.4202" Properties=species:S:1:pos:R:3 pbc="T T T"
'''
The page goes on.

The data will be stored by the researcher in an accessible manner within the institute.  

Before consenting to participate in the research, participants will be informed of the limits of confidentiality and that if they disclose information which indicates illegal activity, potential risk of harm to self or others, the researcher is obliged to inform the relevant authorities. 

Digital recordings will be stored separately from transcribed data on a password protected computer to ensure confidentiality. In keeping with ethical requirements, data will be retained securely for 10 years before being securely disposed of. Only the researcher will have access to personal details such as names of research participants. The process for GDPR (2018) will be adhered to which states that any breach of confidentiality will be declared within 72 hours of first having become aware of that breach.   

Who will be responsible for data management? 

The primary researcher Emma Humes will be responsible for the data management. She will be overseen by the research team: DOS: Dr Lesley Briscoe, Prof. Sally Spencer and Dr. Axel Kaehne.  

What resources will you require to deliver your plan?  

Access to Edge Hill’s University facilities, a computer, hard drive, OneDrive and the university research repository.